The Fernie Ghostriders will begin their home season this Friday at the Fernie Memorial Arena playing against Sicamous with Dale Hladun as their Head Coach and General Manager. Dale is, better known as Duner, signed with the Riders this spring for the 2013/14 season and has been in the coaching and hockey camp business for about twenty years now. Duner has had stops in several different towns including Bozeman, Quesnel, Cowichan, Comox and most recently he spent eight and a half years with the Princeton Posse where he turned pretenders into contenders in short order.

We asked Dale what his thoughts were on coming to Fernie to work with the Ghostriders Hockey Club?
Dale Hladun. “First off, I am honoured that the Ghostrider organization has offered me the opportunity to be at the helm of the hockey operations of their club. I am very familiar to how well respected and run this organization is due to my connections and involvement as an opposing club in both the KIJHL and the AWHL.”
Ghostriders:? What are your thoughts on your time in Princeton?
Dale Hladun “I had been in Princeton for over 8 seasons and am very proud of the accomplishments we made during my tenure. In fact this past season, we just finished re-establishing new franchise records for wins (34) and points (70), finishing 4th overall in the KIJHL for wins and 6th overall for points.
Other accomplishments include:
* 2 Alum drafted by NHL clubs and 2 more attending NHL fall tryout camps.
* 3 former players won the Royal Bank cup. (1 with the Aurora Tigers and 2 with the Penticton Vees.)
*Posse alum in NCAA finals (Mike Garteig, Quinnipiac)
* Alberta College Athletic Conference Champions (1 alum on 2013 ACAC champs NAIT, 1 alum on 2012 ACAC champs Augustana and 5 alum on 2011 ACAC champs Mount Royal College.)
Someone pasted molecular data at this point:
┌──
Entry 1:
Formula: C42H42O14
Source: the Open Molecules 2025 dataset
Level of theory: ωB97M-V/def2-TZVPD

ORCA input file:
```
! RIJCOSX wB97M-V def2-TZVPD def2/J DEFGRID3
* xyz 0 1
C -3.081 4.535 0.049
C -3.360 3.163 0.070
C -3.868 2.381 -1.036
C -4.210 3.085 -2.162
C -3.944 4.597 -2.257
C -3.353 5.162 -1.212
O -2.987 6.528 -1.334
O -4.016 1.034 -0.915
H -2.439 5.173 0.778
H -3.096 2.804 1.077
H -4.797 2.600 -3.112
H -4.286 5.073 -3.152
H -3.619 7.240 -1.810
H -4.094 0.508 -1.672
C 1.586 6.718 0.131
C 1.536 8.003 0.771
C 2.048 8.145 2.139
C 2.271 7.003 2.874
C 2.201 5.774 2.253
C 1.997 5.640 0.909
O 2.107 4.382 0.418
O 2.338 9.316 2.653
H 1.072 6.528 -0.769
H 1.134 8.929 0.278
H 2.584 7.087 4.051
H 2.520 5.100 2.900
H 1.651 4.492 -0.330
H 2.052 9.279 3.685
C 2.958 -5.458 0.506
C 2.953 -6.139 1.753
C 2.006 -5.779 2.671
C 0.936 -4.776 2.472
C 0.935 -4.227 1.109
C 1.978 -4.526 0.127
O 2.064 -3.794 -0.997
O 1.968 -6.354 3.927
H 3.929 -5.622 0.030
H 3.757 -6.876 2.090
H 0.287 -4.504 3.195
H 0.280 -3.489 1.022
H 1.140 -3.727 -1.338
H 1.128 -6.119 4.315
C 1.458 -0.331 -1.033
C 1.662 0.668 -0.107
C 0.609 1.230 0.641
C -0.592 0.648 0.515
C -0.909 -0.389 -0.392
C 0.214 -0.887 -1.191
O -0.232 -1.829 -2.155
O 0.950 2.136 1.668
H 2.296 -0.737 -1.669
H 2.648 1.043 0.253
H -1.545 0.955 0.994
H -1.845 -0.665 -0.254
H -1.065 -1.758 -2.481
H 1.888 2.644 1.555
C -3.214 -3.086 3.083
C -2.801 -4.131 3.836
C -2.300 -5.251 3.242
C -2.323 -5.440 1.903
C -2.918 -4.421 1.044
C -3.252 -3.207 1.638
O -3.943 -2.209 0.975
O -1.783 -6.302 3.978
H -3.528 -2.087 3.613
H -2.803 -3.963 4.948
H -2.227 -6.480 1.532
H -2.811 -4.365 -0.094
H -3.646 -1.302 1.310
H -1.482 -7.040 3.555
C -4.802 -0.647 -4.276
C -5.081 0.453 -5.061
C -3.922 1.272 -5.495
C -2.640 1.025 -5.024
C -2.465 -0.091 -4.097
C -3.595 -0.907 -3.558
O -3.186 -1.767 -2.677
O -4.087 2.425 -6.239
H -5.756 -0.989 -4.020
H -6.138 0.572 -5.222
H -1.939 1.380 -5.476
H -1.392 -0.263 -4.107
H -3.664 -2.502 -2.441
H -3.341 2.879 -6.249
C 4.472 -2.021 0.498
C 5.164 -1.051 1.265
C 6.497 -0.969 1.318
C 7.415 -1.812 0.631
C 6.754 -2.735 -0.227
C 5.355 -2.743 -0.368
O 4.900 -3.676 -1.292
O 7.040 -0.069 2.150
H 3.503 -1.978 0.429
H 4.444 -0.282 1.839
H 8.428 -1.710 0.813
H 7.417 -3.395 -0.743
H 3.904 -3.293 -1.502
H 7.939 0.546 2.043
*
```

Values from the calculation:
SMILES ... Oc1ccc(O)cc1.Oc1ccc(O)cc1.Oc1ccc(O)cc1.Oc1ccc(O)cc1.Oc1ccc(O)cc1.Oc1ccc(O)cc1.Oc1ccc(O)cc1
Total energy ... -2678.53982 Ha
Lowest unoccupied orbital energy ... 0.29 eV
Orbital gap ... 7.9 eV
E_HOMO ... -0.278 Ha
ΔE to the lowest compared entry with this formula, charge and spin ... 1025.3 kJ/mol

***

Entry 2:
Formula: C14H27MgNO6P
Source: the Open Molecules 2025 dataset
Level of theory: ωB97M-V/def2-TZVPD

ORCA input file:
```
! RIJCOSX wB97M-V def2-TZVPD def2/J DEFGRID3
* xyz 2 2
C -0.282 -0.841 2.585
C 1.069 -0.429 1.799
C 2.273 -1.029 2.724
C 1.161 -1.252 0.406
C 0.823 -0.421 -0.919
C -0.111 -1.148 -2.002
C -1.272 -2.080 -1.452
C -2.103 -1.529 -0.206
└──
* First ever Division championship for Posse franchise.
Rider News, Do you think it will be hard to recruit players to the Fernie Ghostrider organization?
Dale Hladun “I am confident in my abilities to successfully recruit and to coach in the KIJHL as per the success we had in Princeton. However, I look at Fernie as a whole new opportunity for success due to the quality of the organization, the support of the fans and the community, and the thirst of this place to be a champion! I believe there are only a sprinkling of organizations in Jr. B hockey that can honestly say, they have the potential and the many assets to contend for a championship every year. Fernie is definitely among that very small group!
Rider News, when do you think you will be moving to Fernie?
Dale Hladun “I am currently living in Princeton, but plan to be living in Fernie on or before, June 30th. I that time before I move, I must coordinate and set up our fall tryouts, a “Ghostrider” hockey school, contact the current players, and start contacting potential players for this club.
I look forward to meeting the people of the community and being involved within my new place to call home, Fernie.